Have you ever found yourself becoming increasingly impatient in a conversation or a meeting and then realized later that you missed something important or made incorrect assumptions? I know I have! Perhaps like me, your urgency to interrupt builds, you want to correct the speaker or offer up another idea, and you lose focus on what the speaker is saying. You may even stop listening and disengage all together because you’re simply disinterested.
Listening is an art. It’s also a science. And the best listening requires patience, commitment and self-awareness.
Most people assess their own listening with a value judgement. They often pride themselves on being a “good” listener or lament the fact that they are a “bad” listener. In the latter case, some may jump on the internet searching for tips to improve their listening skills.
When you Google “Tips to Improve Listening” or “How to Become a Better Listener” dozens of articles come up with lists of similar suggestions:
· Be fully present
· Make Eye Contact
· Put the phone away
· “You have two ears and one mouth. Listen more than you speak”
· Summarize. Repeat back what was said
· Don’t Interrupt
· Give the speaker verbal and non-verbal feedback
If you think about it, most of these suggestions give the speaker the appearance that you are listening but there is nothing here that recommends how to be a better listener. Making eye contact and repeating what was said does not mean you heard and fully comprehend what was said. What’s missing is:
Developing greater self-awareness of your own unique listening preferences and habits.
Unfortunately, self-awareness never makes the list. Knowing what engages or challenges our attention is the first step in preparing for the most valuable interactions and creating the best outcomes.
Research has proven that listening is a cognitive process in which individuals develop preferences or habitual listening behavior over time. Our listening habits determine what we pay attention to, to what and when we disengage, and also influence what we think about, care about and talk about.
When we get to know our listening preferences, we develop Listening Intelligence, the ability to adjust our listening to the people, context and situation at hand. We can then do a better job of staying present and engaged and ultimately expand our understanding of the situation.
Understanding brain physiology can help as well. Most people speak at a rate of roughly 125 words per minute. However, our brains have the capacity to process more than 700 words per minute. This discrepancy between rate of speech and thought is often a contributing factor in our ability to stay attentive and focused, especially when the content of the conversation is not in alignment with our default listening biases.
In just under a decade of helping people become more agile listeners, I’ve observed that if our listening preferences are not satisfied, we become less engaged, which causes us to lose patience in communication and conversation. This presents in different ways in different types of listeners.
Let’s talk about the four listening habits identified in the research: Connective, Reflective, Analytical and Conceptual, and what this means for levels of engagement, patience, and what can be done when attention starts to wane, and frustration begins to mount.
Connective listeners focus on the human component of the interaction.
Their motivation to listen is often determined by their attitude towards the speaker and those involved or impacted by the discussion. They’re likely to shut down their listening if they don’t resonate with the speaker. Alternatively, if they do, they may feel the need to step in on behalf of the speaker or the audience.
Connective listeners are perceived as patient by others. They tend to be a “caretaker” in conversation and will let people finish without interrupting. Their encouraging and supportive body language often gives the appearance of active engagement, though this doesn't necessarily mean they are actually listening. They will often let people continue to speak, despite feeling impatient on the inside. They do a very good job hiding it in their facial expression or body language. As such, speakers generally believe they’re listening and feel heard and satisfied in conversation with them.
Tip: You may be overcompensating to show attention by excessive head nodding, utterances of agreement and encouragement, or constant eye contact. This can be perceived as interested and understanding; in which case the speaker believes they have conveyed their message thoroughly. If you are a Connective listener, check in with yourself. You’ll notice when you’ve lost interest and you’ve shut off the speaker and the message. When you find yourself nodding but not listening, take inventory of your body language and adjust if needed. Ask a fact-finding question to re-engage.
Reflective listeners filter through their personal database of interests and experiences. They will tend to tune out if they don’t perceive the information applies to them.
If they are really interested in the content or it's very important to them, Reflective listeners may be very patient, soaking in every relevant detail. However, they can become impatient when the content isn’t relevant to their role or interesting to them. They won't hesitate to interrupt and let you know that they don't need to be informed about something, that they have nothing to contribute or where they're not needed. They may also interrupt if they know the answer and believe they can help move things forward and save time.
Tip: If you resonate with Reflective listening, as you feel your patience waning, and you either believe you know the answer and/or you don’t see personal relevance, this is your cue to get curious. Your impatience and readiness to move on just might be the indication that you are missing something important. Ask yourself, “What do I need to learn to either support or refute my thinking?” By slowing down and redirecting, you may find you have an unanswered question or realize you can contribute and inspire the conversation in a way that draws you back in.
Analytical listeners care about data, evidence and accuracy. They will likely withdraw when the conversation becomes more abstract or lacks a specific focus.
Analytical listeners often become increasingly impatient and intolerant when speakers aren’t practical, don't get to the point or back up what they're saying. They will interrupt, calling out discrepancies and/or to correct a speaker. However, they will be very patient listeners and learners when speakers share their thinking in a concise way using evidence (that can be sourced upon request) versus how they feel about the content or the discussion point.
Tip: If Analytical listening sounds like your preferred habit and you find yourself frustrated and losing patience because you perceive the conversation is too abstract or you see the decision as clear cut, but deliberation is still going on, consider pulling back to observe the situation with a greater appreciation for the gray versus what seems black or white. If your immediate response is “No, that’s not right,” try to replace it with “Could there be something more?” Great solutions and possibilities may unfold when you allow time for ideation and discussion.
Conceptual listeners have an ear for future possibilities, potentiality and patterns. Without room for fresh thinking and creative problem-solving they will tend to grow bored and disconnect.
[The entry is interrupted by records of crystals]
+++
Starting from a structure optimized by DFT (PBE+U), the X-ray powder pattern of SrNdNiSbO6 was calculated for Cu Kα, 1.54184 Å.
Lines closer than 0.1° are merged.

Crystal structure
```
SrNdNiSbO6
1.0
0.000 3.992 3.992
3.992 0.000 3.992
3.992 3.992 0.000
Sr Nd Ni Sb O
1 1 1 1 6
Cartesian
0.000 0.000 0.000 Sr
3.992 3.992 3.992 Nd
5.989 5.989 5.989 Ni
1.996 1.996 1.996 Sb
1.996 1.996 0.025 O
1.996 0.025 1.996 O
3.968 1.996 1.996 O
0.025 1.996 1.996 O
1.996 3.968 1.996 O
1.996 1.996 3.968 O
```

Top 10 peaks for 15° ≤ 2θ ≤ 90°, sorted by position:
19.25 deg, I = 9.9; 31.70 deg, I = 100.0; 37.35 deg, I = 5.3; 39.08 deg, I = 5.2; 45.44 deg, I = 32.0; 49.78 deg, I = 2.3; 56.46 deg, I = 39.0; 66.21 deg, I = 19.2; 75.27 deg, I = 16.8; 83.96 deg, I = 6.4

~~~~~

Ba2Ca2Mn3Tl2O10: theoretical XRD peak list (Cu Kα), based on the GGA+U geometry in Alexandria.

Structure:
a = 3.981 Å, b = 4.028 Å, c = 18.549 Å
α = 96.03°, β = 96.15°, γ = 90.00°
Fractional positions:
1 Ba 0.000 0.000 0.000
2 Ba 0.290 0.285 0.584
3 Ca 0.097 0.097 0.196
4 Ca 0.189 0.186 0.383
5 Mn 0.550 0.551 0.100
6 Mn 0.643 0.641 0.289
7 Mn 0.735 0.731 0.475
8 Tl 0.429 0.375 0.858
9 Tl 0.865 0.848 0.730
10 O 0.059 0.557 0.118
11 O 0.142 0.640 0.286
12 O 0.226 0.721 0.456
13 O 0.374 0.490 0.747
14 O 0.490 0.509 0.980
15 O 0.557 0.058 0.116
16 O 0.642 0.140 0.286
17 O 0.726 0.222 0.458
18 O 0.790 0.783 0.585
19 O 0.931 0.089 0.861

Peak list (6 most intense, 10 to 90 degrees two-theta, sorted by position)
3.194 Å, 2θ 27.9, I = 60, hkl 0 1 3; 3.170 Å, 2θ 28.2, I = 56, hkl 1 0 3; 2.870 Å, 2θ 31.2, I = 30, hkl 0 1 4; 2.848 Å, 2θ 31.4, I = 54, hkl 1 0 -5; 2.831 Å, 2θ 31.6, I = 100, hkl 1 1 -1; 2.798 Å, 2θ 32.0, I = 33, hkl -1 1 1

~~~~~

Starting from a structure optimized by DFT (PBE+U), the X-ray powder pattern of Ba2Fe3O7 was calculated for λ = 1.5418 Å (Cu Kα).

Largest 10 diffraction maxima, in order of rising 2θ, 10 to 80 degrees two-theta:
2θ/deg  intensity
14.06  24
27.47  100
31.81  79
33.45  57
35.64  36
48.03  39
49.67  37
56.22  26
58.77  27
61.22  27

Structural model:
```
data_Ba2Fe3O7
_chemical_formula_sum 'Ba2 Fe3 O7'
_symmetry_space_group_name_H-M 'P m m 2'
_symmetry_Int_Tables_number 25
_cell_length_a 3.7887
_cell_length_b 12.5969
_cell_length_c 3.7885
_cell_angle_alpha 90.00
_cell_angle_beta 90.00
_cell_angle_gamma 90.00
loop_
_symmetry_equiv_pos_as_xyz
'x,y,z'
'-x,-y,z'
'-x,y,z'
'x,-y,z'
loop_
_atom_site_label
_atom_site_type_symbol
_atom_site_fract_x
_atom_site_fract_y
_atom_site_fract_z
Ba1 Ba 0.0000 0.1984 0.0000
Fe1 Fe 0.5000 0.0000 0.4846
Fe2 Fe 0.5000 0.3897 0.4990
O1 O 0.0000 0.0000 0.4361
O2 O 0.0000 0.3665 0.4983
O3 O 0.5000 0.1459 0.5036
O4 O 0.5000 0.3646 0.9989
```

~~~~~

[1]
Calculated PXRD pattern
Compound: TbDyGa4
Radiation: Cu Kα (weighted mean of Kα1 and Kα2)
Structure: DFT lattice parameters and positions (GGA-PBE)
Peak positions follow from Bragg's law for the DFT cell and can differ from measured ones.

Largest 8 diffraction maxima, by angle, 2θ = 10–90°:
+++
[So much for the records of crystals]
In general, Conceptual listeners self-report they quite often struggle to listen patiently and are aware of their tendency to interrupt. They want to contribute and love to brainstorm, bouncing ideas around. If they are inspired by something that was said, they will feel an urgency to contribute and speak and share. They may not only interrupt with words but can also indicate their urgency to speak with their body language. If the conversation doesn't allow for fresh thinking or brainstorming, they may become bored, and will likely check out.
Tip: As natural idea-generator, if you feel an urgency to chime in or interrupt, pause. Don’t speak just yet. Ask yourself, “Is right now the time to share my thought?” Internally vet your thinking and your ideas as the conversation develops and unfolds. In the pause, you may find that what you were going to say is actually not valuable in the moment, but it may be once you’ve given it more time to think through and process. If the idea is a good one, it will still be there in 5 minutes or even the next day.
As we learn more about the science of listening, it has become increasingly clear that “good or bad” is an oversimplification of a very complex process. Improving our listening requires that we develop acute awareness of our own unique obstacles, specifically which situations cause us to succumb to common attention pitfalls, and then apply intentional effort, discipline and agility to adjust on the fly.
The next time you find yourself frustrated or impatient in conversation, ask yourself, “What am I focusing on and what shift can I make right now to be a better listener in this moment?”
This content was originally published by ECHO Listening Intelligence